Many genealogists are on Twitter and recently a new twitter chat has started called ANZAncestryTime As you might assume, this is for those of us in Australia and New Zealand, but we have had others from around the world join us in our two chats that have been run so far. We also have a website relating to the chat.
This week, the topic was

Here are the questions and some of the replies that might help you in solving brickwalls in your family history.
Q1 Do you have any Brickwall Ancestors?
Virtually everyone on the chat could mention at least one ancestor who is a brickwall from parents through to ggggrandparents. Many were Irish brickwalls, or not being able to find how the ancestor got to Australia/New Zealand. Others were relating to illegitimacy in generations or incorrect paper trail or oral histories. Changes of name to get away from a situation or bigamous marriages.
But Fran @travelgenee said
I don’t usually think of any ancestors as brick walls. Just that I have not got around to exhausting the research possibilities yet.
Then Sandra @Samellco21 said
All my ancestors are from Prussia, Germany Poland so they all feel like brick walls at times
Mandy @sciencegirl_NZ said
I have one major brick wall that I’ve not been able to push through for 20 years. An ancestor born around 1750, perhaps in USA/Canada/Scotland/Ireland. Possibly John/Jean/Johann. McLean or possibly McNeil. I’ve run down so many possibilities.
Jane @chapja said
Yes a number of brick walls largely because of lack of available documentary evidence … gradually making some headway drawing on DNA evidence
Q2 What are some of the causes of Brickwalls in family history?
- Bad research habits probably do not help. Going down rabbit holes, not using a research log, not planning the research – from Fran
- Duplication of names in an area, making it hard to distinguish who you are looking for. Lack of records. Brick-wall is too far back for DNA to be useful – Fiona @fiona_memories
- Poor handwriting leading to not so good indexing – Shauna @HicksShauna
- Researcher inadequacy – I have it in full measure – Jill @geniaus
- In my cases it’s either names missing from records, or common names in a big city – Alona @LoneTester
- Getting locked into a thought process and not jumping the wall. Records which cease at a relatively early stage – Pauleen @cassmob
- Not being able to verify if records actually relate to your person, incorrect oral history leading down the wrong trail(s) – Sue @tasteach
- Thinking you have the correct person but you don’t. 2 people with the same name and birth date. Also illegitimacy and deciphering handwriting – Sandra
- We do need to beware of falling into the name and place trap as if there might only have been one person possible. Good tip! – Pauleen
- Lack of record availability, mistranscription, lies. Some records just got destroyed years ago or have deteriorated – Hilary @Genemeet
- sometimes unexpected behaviour gives you a brickwall that isn’t really there as you don’t have the substantive evidence to verify families moving across countries or the globe – and then you find they did – Ruth @ruthjots
- My brickwall is gg grandfather, Conrad Deihl arrived NZ c1842. Of German origins. Where to start? No clues on any BDMs – Catherine @CathyClarke77
- There are even a few ancestors I believe are taking steps to hide from me – I find the record but the key section is illegible or is missing completely – Dara @DaraMcgivern
There was quite a bit of discussion about rabbit holes – information that leads you astray. But often these can help with the social history of the area where your brickwall might live, or lead you to maps and perhaps employment opportunities in the town giving clues as to why someone may have left the area.
But Fran said
Problem with the rabbit holes for me is that I find something interesting in my Ipad and are not all set up to document and source. Then I can’t find it later.
Then a great discussion from this comment by Maggie @iwikiwichick
My ancestors’ complete disregard for their descendants… They could have left me more hints. That’s all I’m sayin’.
Jill then mentioned
We need to seek help to overcome our inadequacies – learn, learn, learn.
Q3 What strategies do you use to break down Brickwalls?
- Put them aside for another day when I can look at them with a fresh eye. Revisit, revisit, revisit – Jill
- Timelines to see what is missing and whether some record could actually fit in the timeline – Sue
- Timelines… lots of timelines showing the interactions between multiple family members as they may give clues to your brick-walls. I even wrote a guide to creating them – Fiona
- Still waiting to knock down those brickwalls. But patience and coffee are both a necessity – Alona
- Planning, for me is probably the best way to actually advance my research. Problem is that it is so enjoyable to do random google searches to see what you can find – Fran
- Increasingly sharing the problem amongst expert colleagues as used to be putting into a drawer for years… – Ruth
- Checking out lateral lines to gain more clues eg witnesses at marriages of siblings – Sue
- Researching siblings can often open up a lead to knocking down a brickwall – Jennifer @Jennifer_Jones0
- My main strategy now is genetic genealogy, and the more matches I identify the more successful the strategy becomes. So, I’m making some progress on my mother’s line, but my Dad’s, where no known cousins will test, is falling behind – Dara
- Leave it and come back later when new records become available online – Hilary
- Also making sure that you have checked every piece of documentation that you have or could have.. ie buy the birth certificates of siblings etc. Look for potential wider family in the area. Who else was on the ship from the area/country – Fiona
- Try thinking outside the box how would it have sounded given any local accent – Hilary
- Searching across states, looking at all branches/descendants of the family, DNA testing. Using Grenham’s surname distribution maps for Ireland – Pauleen
- Process of elimination, tracking all possibilities, thinking laterally, looking at the wider community (FAN network) – Maggie (Family, Associates, Neighbours =FAN)
- Making a surname variant list can help and when you find a newspaper article check how the OCR-ing has transcribed the typed name, to add to your variant list – Fiona
- Recheck regularly the information you already have. I always seem to miss some little vital detail. Also researching extended family and neighbours can help – Sandra
- With DNA matches for brickwall person, make connections to them via email, Facebook, blog etc and work together, your brickwall might be a known person to them – Sue
- Writing a blog post about the brick wall can help and others make useful suggestions too – Shauna
- Trove has been a major source of info helping me to trace ancestors movements within Australia – Jo @jobee_71
- Providing a solid base for building backwards by building across and forwards to connect DNA matches and include collateral lines – Jane
- Think who is the best person to do a DNA test to help with your research – Hilary
- Test all the senior citizens in your family before it’s too late – Jill
- DNA has helped me confirm my Aus and NZ connections when used in conjunction with traditional research methods – Sylvia @Historylady2013
Final word from Jill on this question
Strut your stuff – don’t hide your ancestors in the closet – make them visible so cousins can find you
Q4 Has DNA ever helped you to knock down Brickwalls?
- Without DNA we probably would have never found Stephen’s father. Descendants in USA helped us track back to Ireland and locate the family member that migrated to NZ – Fran
- DNA has found new cousins and reunited lost ones. It has proved my aboriginal line – Jill
- Lots of connections made using DNA and disproving paper trails and oral history on my dad’s side, on mum’s side DNA=paper trail – Sue
- DNA helped me find out who my g grandfather was – Sharn @SharnWhite
- Yes. I now know who my paternal grandfather was. No more missing branch – Sandra
- Not as yet but hope to reveal more about a GG Grandfather – an English line of my family with few known relations – Ruth
- My mother has a DNA match to a bunch of siblings whose family is limited to Wexford, and it’s a decent match, not down to tiny fragments. But the documents run out and we haven’t yet made the link despite years of trying – Pauleen
- Not so much a brick wall, but it proved a relationship that some people certainly questioned – Alona
- DNA has helped identify an ancestor’s missing siblings. Hoping it will identify some wayward fathers (and a mother) – Maggie
- Yes, led me to the right Andrew Thomson in Lanarkshire. Now if I could just work out if he died in Australia or went back to Scotland (or let’s face it, just about anywhere else in the world) – Fiona
- Not at all but that’s my fault. I really haven’t done anything with my DNA results. Also my family won’t get tested as they’re suspicious of DNA, even the younger ones – Jennifer
- Just last month I confirmed the maiden name of my GGG-grandmother through DNA matches, and an Australian marriage and death cert. – Dara
- Yes DNA has helped me too. I’ve broken through a couple of big walls by combining with paper trail – Sally @SallyBloomfiel7
A few hints about DNA tools to use
My favourite DNA tools are clusters, and chromosome mapping to see who matches who – Seonaid @genebrarian
I build my DNA matches trees on my computer. I mark each link so I can see who goes back to whom. Make sure the trees are correct – Margaret @MargLBailey
I like creating those quick and dirty trees using DNA matches and their trees, then using Jonny Perl’s WATO tool to hypothesize where dad fits – Sue
We need to start a campaign so everyone who did an Ancestry DNA test uploads to a site that will allow to do our chromosome mapping – so powerful – Jill
I’m using DNA tools like DNA painter and Ancestry’s colour coding to help knock down brick walls – Sharn
Not done enough testing yet but hoping to get 2 uncles to do Y DNA to help with missing father and uncertainty – Hilary
my new DNA match helped me find an error today – Hilary
The last five minutes of the chat related to a lot of tips about brickwalls
- I found a missing ancestor through a google book search – Sharn
- My tip is never give up – keep reviewing it every so often – Shauna
- Local histories often contain information about families – Sharn
# Attached: materials data
'''
[1]
Diffraction record for TmZnSn2. The powder diffraction line list is simulated, not measured: it uses a structure optimized by DFT (GGA-PBE) and Cu Kα X-rays.
Peak positions follow from Bragg's law for the DFT cell and can differ from measured ones.

Atomic structure:
```
TmZnSn2
1.0
4.341 0.000 0.000
0.000 4.341 0.000
0.000 0.000 9.792
Tm Zn Sn
2 2 4
Direct
0.250 0.250 0.250
0.750 0.750 0.750
0.250 0.750 0.000
0.750 0.250 0.000
0.250 0.250 0.811
0.250 0.750 0.500
0.750 0.250 0.500
0.750 0.750 0.189
```

The 10 most intense peaks (2θ = 10–90°), sorted by position:
34.38 deg, I 7; 34.49 deg, I 100; 36.71 deg, I 14; 41.61 deg, I 35; 50.53 deg, I 7; 51.17 deg, I 7; 56.68 deg, I 16; 60.31 deg, I 12; 71.36 deg, I 26; 72.72 deg, I 8

[2]
Diffraction record for Te2Ir. The powder diffraction line list is simulated, not measured: it uses a structure optimized by DFT (GGA-PBE) and Cu Kα X-rays.
Peak positions follow from Bragg's law for the DFT cell and can differ from measured ones.

Atomic structure:
```
Te2Ir
1.0
10.087 -2.033 0.000
10.087 2.033 0.000
-0.037 0.000 5.412
Te Ir
6 3
Direct
0.044 0.044 0.223
0.281 0.281 0.762
0.379 0.379 0.287
0.621 0.621 0.713
0.719 0.719 0.238
0.956 0.956 0.777
0.159 0.159 0.997
0.500 0.500 0.500
0.841 0.841 0.003
```

The 10 most intense peaks (2θ = 10–90°), sorted by position:
18.55 deg, I 29; 18.66 deg, I 21; 27.80 deg, I 79; 30.57 deg, I 100; 31.22 deg, I 52; 41.80 deg, I 21; 42.24 deg, I 57; 42.39 deg, I 58; 44.57 deg, I 43; 46.25 deg, I 65

[3]
Diffraction record for Cs2LiTmCl6. The powder diffraction line list is simulated, not measured: it uses a structure optimized by DFT (GGA-PBE) and Cu Kα X-rays.
Peak positions follow from Bragg's law for the DFT cell and can differ from measured ones.

Atomic structure:
```
Cs2LiTmCl6
1.0
0.000 5.287 5.287
5.287 0.000 5.287
5.287 5.287 0.000
Cs Li Tm Cl
2 1 1 6
Direct
0.250 0.250 0.250
0.750 0.750 0.750
0.000 0.000 0.000
0.500 0.500 0.500
0.253 0.253 0.747
0.253 0.747 0.253
0.253 0.747 0.747
0.747 0.253 0.253
0.747 0.253 0.747
0.747 0.747 0.253
```

The 10 most intense peaks (2θ = 10–90°), sorted by position:
14.51 deg, I 45; 23.80 deg, I 100; 27.98 deg, I 27; 29.26 deg, I 30; 33.91 deg, I 66; 41.85 deg, I 46; 48.71 deg, I 45; 54.91 deg, I 21; 66.12 deg, I 25; 81.39 deg, I 20

[4]
Diffraction record for Li6Sb3S. The powder diffraction line list is simulated, not measured: it uses a structure optimized by DFT (GGA-PBE) and Cu Kα X-rays.
Peak positions follow from Bragg's law for the DFT cell and can differ from measured ones.

Atomic structure:
```
Li6Sb3S
1.0
8.065 0.000 0.000
0.000 5.885 0.000
-7.550 0.000 8.872
Li Sb S
12 6 2
Direct
0.080 0.032 0.230
0.080 0.468 0.730
0.282 0.233 0.065
0.282 0.267 0.565
0.305 0.743 0.604
0.305 0.757 0.104
0.695 0.243 0.896
0.695 0.257 0.396
0.718 0.733 0.435
0.718 0.767 0.935
0.920 0.532 0.270
0.920 0.968 0.770
0.324 0.002 0.833
0.324 0.498 0.333
0.500 0.000 0.500
0.500 0.500 0.000
0.676 0.502 0.667
0.676 0.998 0.167
0.000 0.000 0.000
'''
- Chill. Don’t get too worked up. Put them aside for another day – there is plenty more research you can do – Jill
- Persevere, keep records of research, think around the brickwall, get tested for DNA, connect with other relatives – Sue
- Blogging is a great way to find information when people contact you. And social media – Sharn
- Ask the hard question? We all talk about how great interviewing collecting from older relatives. Once they are comfortable then ask the hard questions. You will be surprised how much they will spill the beans – Fran
- Don’t forget you can always share your Brick Wall with BrickWallBusters on Brick Wall Hour @BWBHour run by @DanielGenealogy
Final word is from Carmel @crgalvin
Don’t become a brick wall for your descendants, write, film and record.
Readers: What are some of your hints for breaking down brickwalls?
Sue, What a wonderful post from the #ANZAncestryTime Twitter session last night. Such a great way to capture what happened in the frantic hour. Fran
An excellent summary, thank you
Hi Sue the interesting topics you find to cover- well done. I have been playing a game of snakes and ladders on my brick wall. I had a name Thomas, DOB 1866, occupation Telegraphist, what more could you want? By finding a ship that sailed one year earlier than expected I now have three possibilities: he went to America, he fought in a war Or he got lost in Australia 1897 as reported in the Police Gazette for that year. I will find him… Regards to All Marg
PS Found my inspiration for sideways thoughts in a semi-fictional historic novel about early Australian settlers and their misadventures.
Hi Marg,
Love the way you can always relate to the topic I am writing about. Those brickwalls, though, can come tumbling down very quickly when that one snippet of info appears.
Found a great post by Amy Johnson Crow about brickwalls